File
A plane-wave DFT calculation with GGA+U was carried out for a geometry-optimized K2CaMnO4 structure.

a b c (Å): 5.8554 12.1521 22.0386
angles (deg): 90.00 90.00 90.00
Closest atoms and distances in Å follow each position.
Space group Fddd (No. 70, origin choice 2)
Asymmetric unit:
K1 0.1250 0.1250 0.3225 (multiplicity 16)  2 O 2.76
Ca1 0.1250 0.1250 0.1250 (multiplicity 8)  4 O 2.19
Mn1 0.1250 0.1250 0.6250 (multiplicity 8)  4 O 1.83
O1 0.0823 0.2837 0.8388 (multiplicity 32)  1 Mn 1.83

Results
Total magnetic moment in Bohr magnetons per cell: 24.0
Final energy in eV/atom: -5.457

----------

[1]
A plane-wave DFT calculation with PBE was carried out for crystalline Zn2TeW at its relaxed geometry.

Cell lengths 4.6610, 4.6610, 4.6610 Å; angles 60.00, 60.00, 60.00 degrees
Closest atoms and distances in Å follow each position.
Fractional positions:
1 Te 0.5000 0.5000 0.5000  4 W 2.85, 4 Zn 2.85
2 W 0.7500 0.7500 0.7500  4 Te 2.85, 4 Zn 2.85
3 Zn 0.0000 0.0000 0.0000  4 Zn 2.85, 4 W 2.85
4 Zn 0.2500 0.2500 0.2500  4 Te 2.85, 4 Zn 2.85

Output
- space-group type = F-43m, No. 216
- uncorrected formation energy (meV/atom) = 744

[2]
A plane-wave DFT calculation with PBE was carried out for crystalline Gd2YTe at its relaxed geometry.

Cell lengths 3.9386, 3.9386, 7.7800 Å; angles 90.00, 90.00, 90.00 degrees
Closest atoms and distances in Å follow each position.
Fractional positions:
1 Y 0.5000 0.5000 0.5000  8 Gd 3.52, 2 Te 3.89, 4 Y 3.94
2 Gd 0.0000 0.0000 0.7770  4 Te 3.28, 1 Gd 3.47, 4 Y 3.52
3 Gd 0.0000 0.0000 0.2230  4 Te 3.28, 1 Gd 3.47, 4 Y 3.52
4 Te 0.5000 0.5000 0.0000  8 Gd 3.28

Exercise
It remains to print the listing further above from the line with "angles (deg):" to the end without altering anything.

Here it is
angles (deg): 90.00 90.00 90.00
Closest atoms and distances in Å follow each position.
Space group Fddd (No. 70, origin choice 2)
Asymmetric unit:
K1 0.1250 0.1250 0.3225 (multiplicity 16)  2 O 2.76
Ca1 0.1250 0.1250 0.1250 (multiplicity 8)  4 O 2.19
Mn1 0.1250 0.1250 0.6250 (multiplicity 8)  4 O 1.83
O1 0.0823 0.2837 0.8388 (multiplicity 32)  1 Mn 1.83

Results
Total magnetic moment in Bohr magnetons per cell: 24.0
Final energy in eV/atom: -5.457

----------

[1]
A plane-wave DFT calculation with PBE was carried out for crystalline Zn2TeW at its relaxed geometry.

Cell lengths 4.6610, 4.6610, 4.6610 Å; angles 60.00, 60.00, 60.00 degrees
Closest atoms and distances in Å follow each position.
Fractional positions:
1 Te 0.5000 0.5000 0.5000  4 W 2.85, 4 Zn 2.85
2 W 0.7500 0.7500 0.7500  4 Te 2.85, 4 Zn 2.85
3 Zn 0.0000 0.0000 0.0000  4 Zn 2.85, 4 W 2.85
4 Zn 0.2500 0.2500 0.2500  4 Te 2.85, 4 Zn 2.85

Output
- space-group type = F-43m, No. 216
- uncorrected formation energy (meV/atom) = 744

[2]
A plane-wave DFT calculation with PBE was carried out for crystalline Gd2YTe at its relaxed geometry.

Cell lengths 3.9386, 3.9386, 7.7800 Å; angles 90.00, 90.00, 90.00 degrees
Closest atoms and distances in Å follow each position.
Fractional positions:
1 Y 0.5000 0.5000 0.5000  8 Gd 3.52, 2 Te 3.89, 4 Y 3.94
2 Gd 0.0000 0.0000 0.7770  4 Te 3.28, 1 Gd 3.47, 4 Y 3.52
3 Gd 0.0000 0.0000 0.2230  4 Te 3.28, 1 Gd 3.47, 4 Y 3.52
4 Te 0.5000 0.5000 0.0000  8 Gd 3.28